COMPETITION POLICY AND IP Teresa Moreira Head of Competition and Consumer Policies Branch
UNCTAD mandate - Competition law and policy 2016 - 70 years of work on Competition law and policy within the UN. The UN Set of Principles on Competition (1980): Rules for the control of anticompetitive practices, The development dimension of competition law and policy, Framework for international cooperation and exchange of best practices
== What comes next are records of crystals, not part of the entry ==
-- begin --
The following is a DFT calculation (GGA+U) of crystalline Li2Mn3F8 at its relaxed geometry.

Cell: 5.9863 5.9863 5.5803 Å, 108.45 108.45 65.96°
With the nearest neighbours (Å) after each atom.
Positions (direct):
Li1 0.1720 0.1720 0.1272  4 F 1.95
Li2 0.8280 0.8280 0.8728  4 F 1.95
Mn1 0.2363 0.7637 0.5000  6 F 2.12-2.22
Mn2 0.5000 0.5000 0.0000  6 F 2.14-2.20
Mn3 0.7637 0.2363 0.5000  6 F 2.12-2.22
F1 0.1175 0.1175 0.7536  1 Li 1.95, 2 Mn 2.12
F2 0.1406 0.6351 0.7551  1 Li 1.95, 2 Mn 2.13-2.14
F3 0.3649 0.8594 0.2449  1 Li 1.95, 2 Mn 2.13-2.14
F4 0.3819 0.3819 0.2619  1 Li 1.95
F5 0.6181 0.6181 0.7381  1 Li 1.95
F6 0.6351 0.1406 0.7551  1 Li 1.95, 2 Mn 2.13-2.14
F7 0.8594 0.3649 0.2449  1 Li 1.95, 2 Mn 2.13-2.14
F8 0.8825 0.8825 0.2464  1 Li 1.95, 2 Mn 2.12

Summary:
Calculated total energy, Ry/atom: -0.43325
Polymorph energy (0 for the lowest one), eV/atom: 0.0271
Mass density, Mg/m³: 3.2

~~~~~

Record 1
TlGeN3, optimized geometry, DFT PBE; crystal system = cubic
1.0
4.323 0.000 0.000
0.000 4.323 0.000
0.000 0.000 4.323
Tl Ge N
1 1 3
Direct
0.000 0.000 0.000 Tl
0.500 0.500 0.500 Ge
0.000 0.000 0.500 N
0.000 0.500 0.000 N
0.500 0.000 0.000 N

***

Record 2
CrCoNi2, optimized geometry, DFT PBE; ΔE_f = 69 meV/atom; crystal system = trigonal
1.0
1.240 0.716 8.265
-1.240 0.716 8.265
0.000 -1.432 8.265
Cr Co Ni
1 1 2
Direct
0.000 0.000 0.000 Cr
0.500 0.500 0.500 Co
0.250 0.250 0.250 Ni
0.750 0.750 0.750 Ni

***

Number 1: electronic total energy -3.955 eV per atom, calculated density 6557 kg/m3, total moment 3.17 μB/f.u.. Number 2: electronic total energy -7.004 eV per atom, calculated density 8612 kg/m3, total moment 2.10 μB/f.u..

~~~~~

Record 1
! LaNiGe2 | Alexandria | meta-GGA SCAN | PBEsol geometry; values from VASP
! - volume (Å³ per atom) = 18.72
! - ΔH_f (0 K) (meV/atom) = -862
! - uncorrected energy (eV per atom) = -25.2255
! - total moment (μB/cell) = 0.0
! - density (g cm⁻³) = 7.60
&SYSTEM
  ibrav = 0, nat = 8, ntyp = 3
/
ATOMIC_SPECIES
Ni 58.69 Ni.upf
Ge 72.64 Ge.upf
La 138.91 La.upf
CELL_PARAMETERS angstrom
4.213 0.000 0.000
0.000 4.257 0.000
0.000 2.129 8.353
ATOMIC_POSITIONS angstrom
Ni 1.053 2.129 5.308
Ge 1.053 2.129 7.638
Ge 3.159 4.257 0.715
Ge 1.053 4.257 4.176
La 1.053 2.129 1.815
Ge 3.159 2.129 4.177
La 3.159 4.257 6.538
Ni 3.159 4.257 3.045

***

Record 2
! Mn2TlBiP | Alexandria | meta-GGA SCAN | PBEsol geometry; values from VASP
! - volume (Å³ per atom) = 28.43
! - ΔH_f (0 K) (meV/atom) = 1065
! - uncorrected energy (eV per atom) = -38.5044
! - total moment (μB/cell) = 9.5
! - density (g cm⁻³) = 6.47
&SYSTEM
  ibrav = 0, nat = 5, ntyp = 4
/
ATOMIC_SPECIES
Bi 208.98 Bi.upf
Mn 54.94 Mn.upf
Tl 204.38 Tl.upf
P 30.97 P.upf
CELL_PARAMETERS angstrom
-1.244 4.825 -0.258
-3.160 -1.014 -3.725
-4.184 -0.876 3.787
ATOMIC_POSITIONS angstrom
Bi -2.092 -0.438 1.894
Mn -1.580 -0.507 -1.863
Tl 0.000 0.000 0.000
Mn -0.622 2.412 -0.129
P -4.294 1.467 -0.098

***

Record 3
-- stop --
Competition Law and Policy goals To promote economic efficiency through open and dynamic markets, where companies invest and innovate To achieve economic growth and consumer welfare Competition neutrality
+++
Record 1
Entry from Alexandria via LeMat-Bulk: a relaxed Ce3Be crystal (PBE).

Properties
DFT total energy: -5.05 eV/atom
symmetry: Pmm2

a b c (Å): 3.0345 3.0463 9.6607
angles (deg): 90.00 90.00 90.00
Last column: nearest neighbours and their distance in Å.
Fractional positions:
Be (0.0000, 0.0000, 0.9756)  6 Ce 2.84-2.89, 4 Be 3.03-3.05
Ce (0.5000, 0.5000, 0.1757)  4 Be 2.89, 6 Ce 3.03-3.10
Ce (0.0000, 0.5000, 0.4553)  10 Ce 3.03-3.39
Ce (0.5000, 0.0000, 0.7268)  2 Be 2.84, 4 Ce 3.03-3.05

Record 2
Entry from Alexandria via LeMat-Bulk: a relaxed Nd12ScCd6 crystal (PBE).

Properties
DFT total energy: -3.74 eV/atom
symmetry: R-3

a b c (Å): 8.2941 8.2941 8.2941
angles (deg): 87.91 87.91 87.91
Last column: nearest neighbours and their distance in Å.
Fractional positions:
Nd (0.8480, 0.6182, 0.9583)  4 Nd 3.22-3.46, 5 Cd 3.33-3.58, 1 Sc 3.48
Nd (0.5324, 0.4346, 0.8075)  4 Cd 3.30-3.64, 5 Nd 3.38-3.68
Nd (0.1925, 0.4676, 0.5654)  4 Cd 3.30-3.64, 5 Nd 3.38-3.68
Nd (0.0417, 0.1520, 0.3818)  4 Nd 3.22-3.46, 5 Cd 3.33-3.58, 1 Sc 3.48
Nd (0.4676, 0.5654, 0.1925)  4 Cd 3.30-3.64, 5 Nd 3.38-3.68
Nd (0.3818, 0.0417, 0.1520)  4 Nd 3.22-3.46, 5 Cd 3.33-3.58, 1 Sc 3.48
Nd (0.8075, 0.5324, 0.4346)  4 Cd 3.30-3.64, 5 Nd 3.38-3.68
Nd (0.6182, 0.9583, 0.8480)  4 Nd 3.22-3.46, 5 Cd 3.33-3.58, 1 Sc 3.48
Nd (0.4346, 0.8075, 0.5324)  4 Cd 3.30-3.64, 5 Nd 3.38-3.68
Nd (0.5654, 0.1925, 0.4676)  4 Cd 3.30-3.64, 5 Nd 3.38-3.68
Nd (0.1520, 0.3818, 0.0417)  4 Nd 3.22-3.46, 5 Cd 3.33-3.58, 1 Sc 3.48
Nd (0.9583, 0.8480, 0.6182)  4 Nd 3.22-3.46, 5 Cd 3.33-3.58, 1 Sc 3.48
Cd (0.8887, 0.2534, 0.7425)  1 Sc 3.08, 2 Cd 3.24, 5 Nd 3.30-3.45
Cd (0.2575, 0.1113, 0.7466)  1 Sc 3.08, 2 Cd 3.24, 5 Nd 3.30-3.45
Cd (0.7425, 0.8887, 0.2534)  1 Sc 3.08, 2 Cd 3.24, 5 Nd 3.30-3.45
Cd (0.1113, 0.7466, 0.2575)  1 Sc 3.08, 2 Cd 3.24, 5 Nd 3.30-3.45
Cd (0.7466, 0.2575, 0.1113)  1 Sc 3.08, 2 Cd 3.24, 5 Nd 3.30-3.45
Cd (0.2534, 0.7425, 0.8887)  1 Sc 3.08, 2 Cd 3.24, 5 Nd 3.30-3.45
Sc (0.0000, 0.0000, 0.0000)  6 Cd 3.08

Record 3
Entry from Alexandria via LeMat-Bulk: a relaxed YMn2Pb crystal (PBE).

Properties
DFT total energy: -6.65 eV/atom
symmetry: R-3m

a b c (Å): 9.7505 9.7505 9.7505
angles (deg): 19.64 19.64 19.64
Last column: nearest neighbours and their distance in Å.
Fractional positions:
Mn (0.9997, 0.9997, 0.9997)  3 Pb 3.06, 3 Y 3.07, 6 Mn 3.33
Mn (0.5003, 0.5003, 0.5003)  3 Pb 3.06, 3 Y 3.07, 6 Mn 3.33
Y (0.7500, 0.7500, 0.7500)  6 Mn 3.07, 6 Y 3.33
Pb (0.2500, 0.2500, 0.2500)  6 Mn 3.06, 6 Pb 3.33

Record 4
Entry from Alexandria via LeMat-Bulk: a relaxed K3BiH crystal (PBE).

Properties
DFT total energy: -2.25 eV/atom
symmetry: P2_1/c

a b c (Å): 8.4723 9.4128 9.4714
angles (deg): 98.54 90.00 90.00
Last column: nearest neighbours and their distance in Å.
Fractional positions:
H (0.9854, 0.7086, 0.5164)  1 Bi 2.13
H (0.4854, 0.7914, 0.9836)  1 Bi 2.13
H (0.5146, 0.2086, 0.0164)  1 Bi 2.13
H (0.0146, 0.2914, 0.4836)  1 Bi 2.13
K (0.9939, 0.0522, 0.2223)  1 H 3.09
+++
Intellectual Property Encourage innovation by rewarding the investment and the research & development work through the protection of patent holders and other IP rights holders
Competition and Intellectual Property Both pursue the goal of achieving economic growth and providing for consumer welfare IP rights are necessary to reward innovation and the research and development efforts leading to innovation. Nevertheless, the abusive exercise of IP rights may raise competition concerns: - Refusal to license - Intra-technology restrictions - Patents and standards setting processes - Pay-for-delay settlements
== Here the text breaks off for records of crystals ==
'''
[1]
# Zn3PdBr | Alexandria | GGA-PBE | optimized geometry
data_Zn3PdBr
_cell_length_a 5.026
_cell_length_b 5.026
_cell_length_c 5.026
_cell_angle_alpha 90.00
_cell_angle_beta 90.00
_cell_angle_gamma 90.00
_symmetry_space_group_name_H-M 'P m -3 m'
_symmetry_Int_Tables_number 221
_symmetry_space_group_name_Hall '-P 4 2 3'
loop_
_atom_site_label
_atom_site_type_symbol
_atom_site_fract_x
_atom_site_fract_y
_atom_site_fract_z
_atom_site_occupancy
Zn1 Zn 0.000 0.000 0.500 1
Pd1 Pd 0.500 0.500 0.500 1
Br1 Br 0.000 0.000 0.000 1
# Raw formation energy ... 0.92 eV/atom
# M_tot ... 0.0 μB per cell
# E above lowest polymorph ... 22.85 kcal/mol of atoms
# Energy ... -6.07 eV/f.u.

[2]
# Cs3Hg6Pd2 | Alexandria | GGA-PBE | optimized geometry
data_Cs3Hg6Pd2
_cell_length_a 5.447
_cell_length_b 5.447
_cell_length_c 29.664
_cell_angle_alpha 90.00
_cell_angle_beta 90.00
_cell_angle_gamma 90.00
_symmetry_space_group_name_H-M 'I 4/m m m'
_symmetry_Int_Tables_number 139
_symmetry_space_group_name_Hall '-I 4 2'
loop_
_atom_site_label
_atom_site_type_symbol
_atom_site_fract_x
_atom_site_fract_y
_atom_site_fract_z
_atom_site_occupancy
Cs1 Cs 0.000 0.000 0.000 1
Cs2 Cs 0.000 0.000 0.184 1
Hg1 Hg 0.000 0.000 0.317 1
Hg2 Hg 0.000 0.500 0.092 1
Pd1 Pd 0.000 0.000 0.409 1
# ΔH_f (0 K) ... -2.43 eV per formula unit
# M_tot ... 0.0 μB per cell
# Energy ... -17.18 eV/f.u.

[3]
# Pr2HoF11 | Alexandria | GGA-PBE | optimized geometry
data_Pr2HoF11
_cell_length_a 8.755
_cell_length_b 10.495
_cell_length_c 11.324
_cell_angle_alpha 90.00
_cell_angle_beta 90.00
_cell_angle_gamma 90.00
_symmetry_space_group_name_H-M 'I b a m'
_symmetry_Int_Tables_number 72
_symmetry_space_group_name_Hall '-I 2 2c'
loop_
_atom_site_label
_atom_site_type_symbol
_atom_site_fract_x
_atom_site_fract_y
_atom_site_fract_z
_atom_site_occupancy
Pr1 Pr 0.166 0.191 0.000 1
Ho1 Ho 0.000 0.500 0.250 1
F1 F 0.000 0.000 0.000 1
F2 F 0.098 0.332 0.149 1
F3 F 0.106 0.186 0.500 1
F4 F 0.194 0.428 0.365 1
# Raw formation energy ... -3.40 eV/atom
# M_tot ... 8.5 μB per cell
# Energy ... -82.36 eV/f.u.

> The lowest energy belongs to which entry?

Pr2HoF11

> What is the energy in the second record?

-17.18 eV/f.u.

> Which value of energy does entry 1 give?

-6.07 eV/f.u.

* * * * *

No. 1
A plane-wave DFT calculation with PBE-GGA was carried out for a geometry-optimized La3HfTl3S8 structure.

Structure (CIF):
```
data_La3HfTl3S8
_cell_length_a 8.3057
_cell_length_b 8.3057
_cell_length_c 22.5676
_cell_angle_alpha 90.00
_cell_angle_beta 90.00
_cell_angle_gamma 120.00
_space_group_name_H-M_alt 'R -3 m'
_space_group_IT_number 166
_space_group_name_Hall '-R 3 2"'
loop_
_atom_site_label
_atom_site_type_symbol
_atom_site_fract_x
_atom_site_fract_y
_atom_site_fract_z
La1 La 0.0000 0.5000 0.0000
Hf1 Hf 0.0000 0.0000 0.0000
Tl1 Tl 0.0000 0.5000 0.5000
S1 S 0.0000 0.0000 0.2645
S2 S 0.0329 0.5164 0.7304
```

E_tot (eV per atom): -5.8565
N(E_F) (states/eV per cell): 0.0

***

No. 2
'''
Competition policy and Intellectual Property Strong need to strike a balance between IP protection and competition - in order to safeguard innovation and maintain the rewards and incentives needed - and preventing/sanctioning anticompetitive practices that may seriously hamper consumer welfare
UNCTAD’s work on Competition policy and IP Several background reports on this issue: - A preliminary report on how competition policy addresses the exercise of intellectual property rights (March 1999, doc. TD/B/COM.2/CLP/10) - Competition policy and the exercise of intellectual property rights (August 2000, doc. TD/RBP/CONF.5/6) - Competition policy and the exercise of intellectual property rights, revised report (May 2001, doc. TD/B/COM.2/CLP/22) - Competition policy and the exercise of intellectual property rights (May 2008, doc. TD/B/COM.2/CLP/68) - Examining the interface between the objectives of competition policy and intellectual property (August 2016, doc. TD/B/C.I/CLP/36)
UNCTAD’s overall mandate - international cooperation Meeting developing countries’ needs depends on a balanced and more equitable approach to IP Achieving Sustainable Development Goals: SDG 3 - Good health and well being in the light of IPRs practices by the pharmaceutical industry UNCTAD’s role: Foster cooperation through specific guidance and technical assistance
Digital Economy Challenges Emerging and disruptive business models - increased innovation Internet platforms and social media rising roles Appropriateness of existing legislation and regulatory frameworks? Competition authorities need to keep up with the technological evolution – different market assessment, market studies, new investigative tools and set of enforcement measures
International Cooperation and UNCTAD’s role Global challenges entailed by trade liberalization, the rapid development of ICTs, the rise of the digital economy and the emergence of new key players in the markets - platforms and the social networks. The need and opportunity of joint work at the international level to identify the most important issues and to assist developing countries improving their capacities to face these challenges. UNCTAD’s new mandate on Consumer protection law and policy - allowing for a improved interaction with Competition policy.